It's been a year and a half since my last exclusive piece for, but I'm back, baby!
In my latest story for them, I explain that while the "ACA Sabotage!" card which Democrats have been playing against the GOP all year is very much real, it's also harder to explain to people in light of seemingly modest premium rate changes for 2019.
To understand both the reality and the difficulty in conveying it, read on!
As I noted back in June, the Ohio Insurance Dept. doesn't seem to like providing a whole lot of detail about their insurance rate filings on their website; at the time, they only stated the following regarding the preliminary 2019 individual market rate filings:
In 2018, 8 companies sold health insurance products on the exchange in Ohio and 42 counties had just one insurer with an additional 20 counties having only two.
For 2019, 10 companies have filed rates and forms for the Department to review and all 88 counties will have at least one insurer. Preliminary filings show 16 counties with just one insurer and 33 counties with two.
CMS Administrator Seema Verma is difficult to get a read on. On the one hand, she glories in trashing the ACA every chance she gets while happily endorsing nearly every effort to undermine or sabotage it, including repeal of the individual mandate, slashing the marketing and outreach budgets and so forth. Last year she was even busted trying to (effectively) blackmail the insurance carriers at large by offering to push through CSR reimbursement payment in return for them supporting the GOP's Obamacare repeal bill.
Vermont's situation is unusual compared to most other states for a couple of reasons. First of all, VT is one of only two states (Massachusetts is the other one) which has merged their Individual and Small Group market risk pools into one to help stabilize both markets. This is something I wish every state would do, frankly, although it's probably a lot easier to do in deep blue states (and Vermont having such a small population probably made it easier as well).
A few weeks ago, I posted about New Jersey's preliminary 2019 ACA-compliant individual market rate filings. At the time, the official New Jersey Dept. of Banking & Insurance specifically stated that:
Because Congressional Republicans repealed the ACA's Individual Mandate Penalty, carriers were planning on increasing 2019 premiums by 12.6% on average, in part to account for the adverse selection which was expected to happen next year.
However, thanks to the Democratically-controlled New Jersey state legislature and Governor swiftly reinstating the ACA individual mandate, actual 2019 rate filings are only expected to increase rates an average of 5.8%, saving the average unsubsidized indy market enrollee around $470 apiece next year.
Finally, the NJ legislature also passed, and Governor Murphy signed into law, a robust reinsurance bill which, if approved by CMS, is expected to lower unsubsidized 2019 premiums by an additional 15 percentage points, for a final 2019 average premium reduction of around 9.2%.
It's also important to understand that New Jersey's portion of the funding for the proposed reinsurance program will be coming from the revenue generated by the reinstated mandate penalty itself.
The good news was that average unsubsidized 2019 ACA individual market premiums were expected to drop by about 5.7% after years of double-digit rate hikes.
## Materials data from another source follow
(1)
An optimized crystal structure of Be2FeAgOs, computed with PBE-GGA.

For the total DFT energy (no corrections), the calculation gives -4.55 eV/atom. The value obtained for the density of states at the Fermi level is 0.64 states/eV per atom. Its symmetry is P4/mmm (123). The calculation puts the formation enthalpy at 0 K at 1.45 eV per atom.

Cell: 3.9728 3.9728 4.5610 Å, 90.00 90.00 90.00°
Atoms (fractional coordinates):
Be 0.0000 0.5000 0.0000
Be 0.5000 0.0000 0.0000
Fe 0.0000 0.0000 0.0000
Ag 0.0000 0.0000 0.5000
Os 0.5000 0.5000 0.5000



(2)
An optimized crystal structure of VAgAu2, computed with PBE-GGA.

For the total DFT energy (no corrections), the calculation gives -4.51 eV/atom. The value obtained for the density of states at the Fermi level is 0.95 states/eV per atom. Its symmetry is P4/mmm (123). The calculation puts the formation enthalpy at 0 K at 0.12 eV per atom.

Cell: 4.7868 4.7868 3.0722 Å, 90.00 90.00 90.00°
Atoms (fractional coordinates):
V 0.0000 0.0000 0.0000
Ag 0.5000 0.5000 0.0000
Au 0.0000 0.5000 0.5000
Au 0.5000 0.0000 0.5000



(3)
An optimized crystal structure of K2TcMo, computed with PBE-GGA.

For the total DFT energy (no corrections), the calculation gives -4.80 eV/atom. The value obtained for the density of states at the Fermi level is 1.06 states/eV per atom. Its symmetry is Imm2 (44). The value obtained for the excess energy over the best structure of this formula in the dataset is 6.23 kcal/mol of atoms. The calculation puts the formation enthalpy at 0 K at 1.05 eV per atom.

Cell: 6.8744 6.8744 6.8744 Å, 151.51 125.27 62.85°
Atoms (fractional coordinates):
K 0.0000 0.0000 0.0000
K 0.7072 0.2072 0.5000
Tc 0.4257 0.4257 0.0000
Mo 0.2951 0.7951 0.5000



(4)
An optimized crystal structure of BaTbW2N6, computed with PBE-GGA.

For the total DFT energy (no corrections), the calculation gives -8.88 eV/atom. The value obtained for the density of states at the Fermi level is 0.53 states/eV per atom. Its symmetry is C2/c (15).

Cell: 7.8640 7.8640 6.6467 Å, 105.89 105.89 87.89°
Atoms (fractional coordinates):
Ba 0.0986 0.9014 0.7500
Ba 0.9014 0.0986 0.2500
Tb 0.2845 0.7155 0.2500
Tb 0.7155 0.2845 0.7500
W 0.2168 0.3755 0.8202
W 0.3755 0.2168 0.3202
W 0.6245 0.7832 0.6798
W 0.7832 0.6245 0.1798
N 0.0015 0.7428 0.3015
N 0.1811 0.6091 0.8709
N 0.2572 0.9985 0.1985
N 0.3076 0.3625 0.1167
N 0.3625 0.3076 0.6167
N 0.3909 0.8189 0.6291
N 0.6091 0.1811 0.3709
N 0.6375 0.6924 0.3833
N 0.6924 0.6375 0.8833
N 0.7428 0.0015 0.8015
N 0.8189 0.3909 0.1291
N 0.9985 0.2572 0.6985

=====

w.
The following is a GGA-PBEsol calculation of an optimized crystal structure of MnFe2Mo, from Alexandria.

Cell and atoms, written as extended XYZ:
```
4
Lattice="-0.4068 -0.6231 2.4086 3.8776 -1.0509 0.3831 1.2241 4.6413 0.3416" Properties=species:S:1:pos:R:3 pbc="T T T"
Fe 0.6286 3.0703 2.0599
Fe 0.1887 0.9478 0.6903
Mn 1.7354 -0.8370 1.3959
Mo 2.5508 1.7952 0.3624
```

Results
D(E_F) in states/eV per cell: 4.4

***

x.
The bad news was that due specifically to various types of deliberate sabotage by the Trump Administration and Congressional Republicans (primarily repeal of the individual mandate and expansion of #ShortAssPlans), that 5.7% drop was still a good 12 points or so higher than it otherwise would have been.
The ugly news was that due specifically to the Trump Administration's utterly unnecessary decision to freeze Risk Adjustment fund transfers in response to a lawsuit out of New Mexico, 2019 premiums would be hundreds of dollars higher still than they should have been for Blue Cross Blue Shield of Tennessee's 113,000 enrollees:
UPDATE: As noted in the comments below, it looks like Anthem won't be expanding to cover the entire state after all. Even so, this is a major improvement in the situation.
'''
*A*
6
Lattice="4.374 0.000 0.000 0.000 6.705 -0.024 0.000 -0.012 6.705" Properties=species:S:1:pos:R:3 comment="PuThSe4, optimized geometry, DFT PBE-GGA" total_magnetization_mub_per_cell=4.00 pbc="T T T"
Pu 2.187 0.000 0.000
Th 0.000 3.346 3.340
Se 2.187 2.011 4.678
Se 0.000 5.424 5.414
Se 4.374 1.268 1.266
Se 2.187 4.681 2.003

***

*B*
6
Lattice="4.881 0.028 -0.296 -0.046 4.881 -0.296 0.407 0.414 6.885" Properties=species:S:1:pos:R:3 comment="PuThSe4, optimized geometry, DFT PBE-GGA" total_magnetization_mub_per_cell=3.97 pbc="T T T"
Pu 2.621 2.661 3.146
Th 0.000 0.000 0.000
Se 4.962 2.576 1.312
Se 2.500 5.000 1.312
Se 0.281 2.747 4.981
Se 2.742 0.323 4.981

***

Stability ranking, top entry: *B*; the second entry is 0.102 eV/atom less favorable.

***

*A*
13
Lattice="4.355 0.000 0.000 0.000 9.663 -8.167 0.000 -2.650 11.655" Properties=species:S:1:pos:R:3 comment="Pu2Th3Se8, optimized geometry, DFT PBE-GGA" total_magnetization_mub_per_cell=11.49 pbc="T T T"
Pu 2.177 1.188 3.937
Pu 2.178 5.824 -0.450
Th 2.177 0.000 0.000
Th 0.000 0.079 8.854
Th 0.000 6.933 -5.366
Se 0.000 5.576 -2.415
Se 0.000 1.436 5.903
Se 0.000 0.420 1.976
Se 0.000 6.592 1.512
Se 2.177 4.170 4.124
Se 2.177 -0.991 7.408
Se 2.178 8.003 -3.920
Se 2.177 2.842 -0.636

***

*B*
13
Lattice="-0.337 -7.155 0.640 8.549 -0.362 0.456 -4.498 3.337 6.447" Properties=species:S:1:pos:R:3 comment="Pu2Th3Se8, optimized geometry, DFT PBE-GGA" total_magnetization_mub_per_cell=12.01 pbc="T T T"
Pu -0.231 -0.814 3.691
Pu 3.946 -3.366 3.853
Th -0.168 -3.578 0.320
Th 2.224 -0.094 0.119
Th 6.325 -0.267 0.338
Se 3.916 -5.989 2.353
Se -0.201 1.809 5.191
Se -0.363 -5.860 2.154
Se 4.078 1.680 5.390
Se 1.905 -1.893 5.532
Se -2.634 -1.701 5.290
Se 6.349 -2.479 2.254
Se 1.810 -2.287 2.012

***

Stability ranking, top entry: *A*; the second entry is 0.012 eV/atom less favorable.

***

*A*
13
Lattice="6.604 0.000 3.012 2.615 6.065 3.012 0.383 0.252 7.908" Properties=species:S:1:pos:R:3 comment="PuTi4Se8, optimized geometry, DFT PBE-GGA" total_magnetization_mub_per_cell=6.30 pbc="T T T"
Pu 4.801 3.158 6.966
Ti 1.308 3.032 1.506
Ti 4.610 3.032 3.012
Ti 3.302 0.000 1.506
Ti 0.000 0.000 0.000
Se 5.889 1.638 9.081
Se 5.766 1.557 4.851
Se 3.713 4.678 4.851
Se 7.112 4.678 6.401
Se 7.127 4.688 10.614
Se 2.476 1.628 3.318
Se 2.491 1.638 7.531
Se 3.837 4.759 9.081

***

*B*
13
Lattice="-2.725 1.978 -6.923 -7.582 0.805 -1.066 -3.011 7.001 -1.095" Properties=species:S:1:pos:R:3 comment="PuTi4Se8, optimized geometry, DFT PBE-GGA" total_magnetization_mub_per_cell=2.64 pbc="T T T"
Pu -9.989 7.338 -6.814
Ti -6.321 4.631 -7.145
Ti -9.038 3.975 -3.868
Ti -6.481 7.440 -3.885
Ti -4.797 3.524 -3.272
'''
Every year, Virginia is the first state out of the gate with their preliminary healthcare premium rate changes for the following year, posting the initial rate requests in early May. For 2019, it originally looked like the carriers were asking for a statewide average increase of 15.2%, but I later corrected this to 13.4%.
However, these were just preliminary numbers. The requests still have to go through the rate review process, and the carriers often make other changes as well before the final deadlines pass.
What comes next are data records, not part of the text >
No. 1
! HgMoBr4, relaxed, DFT GGA-PBE; values from VASP
&SYSTEM
  ibrav = 0, nat = 12, ntyp = 3
/
ATOMIC_SPECIES
Hg 200.59 Hg.upf
Mo 95.94 Mo.upf
Br 79.90 Br.upf
CELL_PARAMETERS angstrom
15.485 0.000 0.000
0.000 3.797 3.613
0.000 -3.797 3.613
ATOMIC_POSITIONS angstrom
Hg 0.000 0.000 0.000
Hg 7.743 0.000 0.000
Mo 3.871 1.650 4.992
Mo 11.614 -1.650 4.992
Br 1.323 1.580 4.995
Br 3.871 -0.517 3.576
Br 3.871 -0.013 7.209
Br 6.420 1.580 4.995
Br 9.066 -1.580 4.995
Br 11.614 0.517 3.576
Br 11.614 0.013 7.209
Br 14.162 -1.580 4.995
! Formation energy without anion corrections   -251 meV per atom
! Energy relative to the lowest polymorph listed for this composition   0.000 eV/atom
! Raw total energy   -3.222 eV/atom

No. 2
! HgMoBr3, relaxed, DFT GGA-PBE; values from VASP
&SYSTEM
  ibrav = 0, nat = 10, ntyp = 3
/
ATOMIC_SPECIES
Hg 200.59 Hg.upf
Mo 95.94 Mo.upf
Br 79.90 Br.upf
CELL_PARAMETERS angstrom
3.405 0.000 0.000
-1.700 9.200 0.000
-0.014 -0.890 10.343
ATOMIC_POSITIONS angstrom
Hg -0.003 2.540 4.862
Hg 1.696 5.770 5.481
Mo 0.002 5.793 0.401
Mo 1.690 2.516 9.942
Br 0.000 1.794 0.734
Br -0.011 3.797 8.442
Br 0.000 7.481 2.293
Br 1.692 0.828 8.051
Br 1.703 4.512 1.901
Br 1.692 6.516 9.609
! Formation energy without anion corrections   -323 meV per atom
! Energy relative to the lowest polymorph listed for this composition   0.000 eV/atom
! Raw total energy   -3.553 eV/atom

No. 3
! Hg2MoBr, relaxed, DFT GGA-PBE; values from VASP
&SYSTEM
  ibrav = 0, nat = 4, ntyp = 3
/
ATOMIC_SPECIES
Hg 200.59 Hg.upf
Mo 95.94 Mo.upf
Br 79.90 Br.upf
CELL_PARAMETERS angstrom
2.962 0.000 0.000
0.000 2.962 0.000
0.000 0.000 10.571
ATOMIC_POSITIONS angstrom
Hg 0.000 0.000 2.088
Hg 0.000 0.000 8.483
Mo 1.481 1.481 0.000
Br 1.481 1.481 5.285
! Formation energy without anion corrections   582 meV per atom
! Energy relative to the lowest polymorph listed for this composition   0.285 eV/atom
! Raw total energy   -2.695 eV/atom

No. 4
! Hg2MoBr, relaxed, DFT GGA-PBE; values from VASP
&SYSTEM
  ibrav = 0, nat = 4, ntyp = 3
/
ATOMIC_SPECIES
Hg 200.59 Hg.upf
Mo 95.94 Mo.upf
Br 79.90 Br.upf
CELL_PARAMETERS angstrom
1.696 -2.820 0.000
1.696 2.820 0.000
0.000 0.000 9.251
ATOMIC_POSITIONS angstrom
Hg 0.000 0.000 2.224
Hg 0.000 0.000 7.027
Mo 1.696 0.000 0.000
Br 1.696 0.000 4.626
! Formation energy without anion corrections   584 meV per atom
! Energy relative to the lowest polymorph listed for this composition   0.287 eV/atom
! Raw total energy   -2.693 eV/atom
As regular readers know, each year I analyze hundreds of insurance carrier rate filings for the following year, then crunch the numbers to get an estimate of how much average premiums will increase (or in a few cases, decrease!) statewide.
As they also know, last year and again this year I've expanded on this by breaking out the portion of the annual rate increase which can be tied directly to sabotage efforts by the Trump Administration and Congressional Republicans. For 2018, this boiled down to roughly 17 points of the total nationwide increase being sabotage-related. It varied greatly by state, carrier and plan, but nationally, I estimated that without last year's ACA sabotage efforts, average premiums would have gone up around 11% instead of around 28%.
Annnnnnnnd finally, the least-populated state of them all...which also happens to be suffering from the highest average monthly premiums for unsubsidized individual market enrollees: Wyoming.
There's only a single carrier in the Equality State (seriously...that's their motto; who knew?), Blue Cross Blue Shield. They're actually looking to lower rates by just a smidge (0.25% on average).
Assuming just 2/3 of that to play it safe, that still means that unsubsidized enrollees would have been looking at roughly a 12% drop in their 2019 premiums without those measures...a difference of over $120/month, or a whopping $1,400 more apiece next year. Ouch.